**Given**
┌──
{"formula": "BF4H30O15", "method": "ωB97M-V with the def2-TZVPD basis set", "species": ["F", "F", "F", "F", "O", "O", "O", "O", "O", "O", "O", "O", "O", "O", "O", "O", "O", "O", "O", "B", "H", "H", "H", "H", "H", "H", "H", "H", "H", "H", "H", "H", "H", "H", "H", "H", "H", "H", "H", "H", "H", "H", "H", "H", "H", "H", "H", "H", "H", "H"], "coordinates": [[0.3569, 1.3521, -0.7065], [0.2767, -0.4136, -2.1276], [-1.1263, -0.3093, -0.2999], [1.0491, -0.6224, 0.0881], [-2.8806, -1.9352, 0.7997], [-1.0432, -2.8327, -2.9780], [-0.0942, -0.8029, 2.8968], [2.7636, 2.4439, -0.9376], [-1.5803, 2.8289, -1.6000], [-3.7125, 1.1551, -0.3054], [-0.1514, 3.0826, 2.0261], [1.7158, -2.6844, 2.2094], [1.4256, 1.4687, -3.5564], [0.8032, -3.4711, -0.1549], [2.0173, 1.7474, 1.8839], [-1.9849, 1.0414, 2.2041], [-3.1713, -1.1799, -2.2215], [3.7423, -1.0578, -1.0726], [3.6363, -0.8170, 1.8944], [0.1402, -0.0322, -0.7809], [-0.7874, -0.1730, 2.6299], [-3.4341, -1.3244, 1.3286], [1.0691, -1.9733, 2.2613], [-0.0398, -3.9488, -0.2495], [-2.5004, 1.3581, 1.5317], [-2.4247, 1.2943, 2.9799], [1.2363, 2.3023, 1.7594], [1.6257, 1.0036, 1.4579], [4.6155, -1.4192, -1.1981], [-2.8101, -0.7833, -3.0485], [3.1075, -1.6248, 2.0119], [0.5438, -2.5758, -0.2713], [-4.1311, 1.3190, -1.1594], [0.8941, 0.7608, -3.3188], [1.3655, 1.5782, -4.5133], [-2.1535, -1.3006, 0.4973], [-0.7652, 2.3250, 1.7761], [-1.6196, -2.2161, -2.5509], [-3.8230, 1.9578, 0.2083], [-2.9190, -0.5663, -1.5481], [1.4186, -3.1224, 1.3908], [-0.0420, 3.5623, 1.1922], [-0.7761, 2.4127, -1.3794], [-2.2802, 2.4731, -1.0295], [-0.1950, -2.5694, -2.7339], [3.3354, -0.1601, 2.5236], [1.8920, 2.0799, -0.7351], [0.5324, -0.4200, 3.5106], [3.3497, 1.9121, -0.4204], [3.5332, -1.1231, -0.1645]], "mulliken_charge": [-0.479, -0.382, 0.303, 0.724, -0.688, -0.698, -0.676, -0.692, -0.722, -0.649, -0.778, -0.854, -0.584, -0.724, -0.702, -0.628, -0.780, -0.619, -0.748, -0.098, 0.302, 0.325, 0.258, 0.346, 0.142, 0.208, 0.480, -0.002, 0.239, 0.342, 0.434, 0.317, 0.284, 0.315, 0.268, 0.365, 0.512, 0.426, 0.277, 0.306, 0.544, 0.415, 0.367, 0.346, 0.294, 0.244, 0.237, 0.287, 0.357, 0.239], "homo_lumo_gap_ev": 8.36, "total_charge": -1, "e_above_lowest_kj_mol": 105.8, "e_tot_ev": -42755.5230, "e_homo_ev": -6.87}

=====

{"formula": "H13O6", "method": "ωB97M-V with the def2-TZVPD basis set", "species": ["O", "O", "O", "O", "O", "O", "H", "H", "H", "H", "H", "H", "H", "H", "H", "H", "H", "H", "H"], "coordinates": [[-0.8275, -2.2959, 1.6958], [-2.1308, 0.4804, -1.3776], [0.5632, -0.0650, 0.7587], [2.8586, -1.1409, -0.3628], [0.4579, 1.3934, -1.7378], [-1.6104, 1.6286, 0.9871], [-0.0085, -0.7578, 0.8906], [1.2642, -0.3912, 0.1892], [-1.2114, 0.5469, -1.7283], [-0.6575, -3.1819, 1.3601], [-1.6846, 2.5666, 0.8597], [3.7028, -0.7301, -0.1121], [-1.6838, -2.4452, 1.8765], [0.5706, 2.2597, -1.6298], [-2.1150, 1.1648, -0.6050], [3.1673, -2.1012, -0.2560], [1.1763, 1.2585, -2.3518], [0.3228, 0.4526, -0.1739], [-2.1542, 1.3577, 1.7177]], "mulliken_charge": [-0.650, -0.669, -0.262, -0.698, -0.613, -0.607, 0.445, 0.409, 0.378, 0.325, 0.314, 0.341, 0.285, 0.246, 0.367, 0.338, 0.310, 0.450, 0.291], "homo_lumo_gap_ev": 10.38, "total_charge": 1, "e_above_lowest_kj_mol": 247.4, "e_tot_ev": -12487.9609, "e_homo_ev": -13.73}

=====
└──

**Brief**
Could you say how many lines of the calculation results earlier on hold the word "e_tot_ev", as a bare number?

**Done**
2